Reunion of Upcountry Families set
Reunion seeks families, groups to showcase historical items

The next Reunion of Upcountry Families is scheduled for March 12-14 and will include family history workshops, cemetery tours and historic displays.
CENTRAL — The public is invited to the Reunion of Upcountry Families on March 12-14.
<<<
Entry 1:
For BaSr2Tl9, a DFT-relaxed cell (GGA-PBE, Alexandria) gives the computed powder X-ray diffraction pattern in this record (Cu Kα (weighted mean of Kα1 and Kα2)).
Lines closer than 0.1° are merged.

Cell and atoms:
Cell lengths 5.049, 5.049, 15.116 Å; angles 90.00, 90.00, 90.00 degrees
Atoms (fractional coordinates):
Ba: 0.000 0.000 0.000
Sr: 0.000 0.000 0.338
Sr: 0.000 0.000 0.662
Tl: 0.000 0.500 0.172
Tl: 0.000 0.500 0.500
Tl: 0.000 0.500 0.828
Tl: 0.500 0.000 0.172
Tl: 0.500 0.000 0.500
Tl: 0.500 0.000 0.828
Tl: 0.500 0.500 0.000
Tl: 0.500 0.500 0.331
Tl: 0.500 0.500 0.669

Largest 10 diffraction maxima, in order of rising 2θ, 2θ from 5° to 70°:
- d 5.045, 2θ = 17.6°, I = 5
- d 3.568, 2θ = 25.0°, I = 5
- d 2.913, 2θ = 30.7°, I = 100
- d 2.523, 2θ = 35.6°, I = 51
- d 2.256, 2θ = 40.0°, I = 3
- d 2.060, 2θ = 44.0°, I = 2
- d 1.784, 2θ = 51.2°, I = 36
- d 1.682, 2θ = 54.6°, I = 1
- d 1.521, 2θ = 60.9°, I = 43
- d 1.456, 2θ = 63.9°, I = 12



Entry 2:
For Mg2Ni3P, a DFT-relaxed cell (GGA-PBE, Alexandria) gives the computed powder X-ray diffraction pattern in this record (Cu Kα (weighted mean of Kα1 and Kα2)).
Lines closer than 0.1° are merged.

Cell and atoms:
Cell lengths 4.624, 4.624, 4.624 Å; angles 65.23, 65.23, 65.23 degrees
Atoms (fractional coordinates):
Mg: 0.126 0.126 0.126
Mg: 0.874 0.874 0.874
Ni: 0.000 0.500 0.500
Ni: 0.500 0.000 0.500
Ni: 0.500 0.500 0.000
P: 0.500 0.500 0.500

Largest 10 diffraction maxima, in order of rising 2θ, 2θ from 5° to 70°:
- d 4.011, 2θ = 22.2°, I = 51
- d 3.620, 2θ = 24.6°, I = 57
- d 2.298, 2θ = 39.2°, I = 23
- d 2.117, 2θ = 42.7°, I = 96
- d 2.053, 2θ = 44.1°, I = 75
- d 2.006, 2θ = 45.2°, I = 100
- d 1.940, 2θ = 46.8°, I = 30
- d 1.810, 2θ = 50.4°, I = 24
- d 1.689, 2θ = 54.3°, I = 33
- d 1.531, 2θ = 60.5°, I = 13

=====

Structure and calculated X-ray powder pattern of MnC4N6 (a DFT-relaxed cell (GGA-PBE, Alexandria); Cu Kα (weighted mean of Kα1 and Kα2)).
Peak positions follow from Bragg's law for the DFT cell and can differ from measured ones.

Atomic structure:
```
MnC4N6
1.0
6.7032 0.0000 0.0000
0.0000 7.3176 0.0000
0.0000 0.0000 7.5558
Mn C N
2 8 12
Direct
0.0000 0.0000 0.0000 Mn
0.5000 0.5000 0.5000 Mn
0.2208 0.1756 0.3492 C
0.2208 0.1756 0.6508 C
0.2792 0.6756 0.1508 C
0.2792 0.6756 0.8492 C
0.7208 0.3244 0.1508 C
0.7208 0.3244 0.8492 C
0.7792 0.8244 0.3492 C
0.7792 0.8244 0.6508 C
0.1737 0.1258 0.2073 N
0.1737 0.1258 0.7927 N
0.2166 0.7414 0.0000 N
0.2834 0.2414 0.5000 N
0.3263 0.6258 0.2927 N
0.3263 0.6258 0.7073 N
0.6737 0.3742 0.2927 N
0.6737 0.3742 0.7073 N
0.7166 0.7586 0.5000 N
0.7834 0.2586 0.0000 N
0.8263 0.8742 0.2073 N
0.8263 0.8742 0.7927 N
```

Peak list (8 most intense, 10° ≤ 2θ ≤ 90°, sorted by position)
16.87 deg, I 50.1, (0 1 1); 17.69 deg, I 67.8, (1 0 1); 17.95 deg, I 100.0, (1 1 0); 21.48 deg, I 40.2, (1 1 1); 27.78 deg, I 43.1, (1 2 0); 30.24 deg, I 23.5, (1 2 1); 31.66 deg, I 28.6, (2 1 1); 36.35 deg, I 26.9, (2 2 0)
>>>
# The piece goes on
The free event will include cemetery tours, workshops devoted to family history and a large display of photos and other items from local families of the Old Pendleton District, which became present-day Anderson, Oconee and Pickens counties.
Families whose heritage goes back at least a century in the Old Pendleton District are urged to participate in the March 14 reunion display at Southern Wesleyan University by buying a table and displaying family photos, old family Bibles and other historical memorabilia. To reserve a table, contact Kenny Blakeney at (864) 898-0840, email or email Judy Long at There is a $20 cost to reserve a table, payable to the Central Heritage Society, 416 Church St., Central, SC 29630.
Group tables are also available to organizations who will enhance or contribute to genealogical research or information in the Upcountry. Examples of groups include Pickens County Library, Pickens County Genealogical Society, SAR, DAR, UDC, SCV, etc. For details or to reserve a group table, contact Brenda Meyer at
The event kicks off at 1:30 p.m., Thursday, March 12, at Captain Kimberly Hampton Memorial Library in Easley with a computer class on genealogy, a kid-friendly genealogy class and a 7 p.m. presentation titled “Lewis Redmond and Manse Jolly: Upcountry Bad Boys.” Admission is $10 for this program.
On Friday, March 13, there will be a tour of various Upcountry cemeteries, including the historical Old Stone Church Cemetery and the Roberts Presbyterian Cemetery. Also planned is a tour of the Anderson County Genealogical Library and a tour and dinner at Collins Ole Towne in Central. Cost for the meal is $18. Following the dinner, Dennis Chastain, local outdoorsman, will give a free presentation titled “Early Trails and Roads of the Upcountry.”
From 9 a.m. until 4 p.m. Saturday, March 14, Southern Wesleyan University will host historic displays from area families as well as local genealogical and historical associations in The Founders, located on the lower level of the University Dining Commons building. There will be presentations about “Chronicling the America Newspaper Project” and “Using DNA to Supplement your Family History Research.”
Reunion visitors are also invited to Pickens Cemetery Sunday, March 15, 3 p.m., for a dedication of Confederate graves, along with identification of Revolutionary graves.
The Reunion of Upcountry Families is being sponsored by the Birchwood Center for Arts and Folklife, along with Southern Wesleyan University, the Faith Clayton Genealogy Center, the Old Pendleton District Genealogical Society, the Pickens County Historical Society, the Pickens County Museum of Art and History, Anderson Genealogical Society, the Central Heritage Society, the Pendleton District Commission and Pickens County Accommodation Tax Grant.
For details, contact the Birchwood Center at (864) 898-0840 or email Also, more information can be found online at or on the Reunion’s Facebook page,